The Nullarbor is vast and barren and might not seem like it would sustain life, but there is actually a diverse range of animals who live here.
Creatures who make their home here have adapted to living in the extremely hot, arid conditions. Some are quite rare – which is why vast areas of the plains are heavily protected.
____________
Entry from the Materials Project: an optimized crystal structure of V2Ni2O7 (PBE+U).

Cell and atoms, written as CIF:
```
data_V2Ni2O7
_symmetry_space_group_name_H-M 'P 1'
_symmetry_Int_Tables_number 1
_symmetry_space_group_name_Hall 'P 1'
_cell_length_a 6.632
_cell_length_b 8.426
_cell_length_c 9.511
_cell_angle_alpha 90.00
_cell_angle_beta 100.09
_cell_angle_gamma 90.00
loop_
_atom_site_label
_atom_site_type_symbol
_atom_site_fract_x
_atom_site_fract_y
_atom_site_fract_z
V1 V 0.137 0.240 0.469
V2 V 0.137 0.260 0.969
V3 V 0.305 0.519 0.688
V4 V 0.305 0.981 0.188
V5 V 0.695 0.019 0.812
V6 V 0.695 0.481 0.312
V7 V 0.863 0.740 0.031
V8 V 0.863 0.760 0.531
Ni1 Ni 0.197 0.613 0.321
Ni2 Ni 0.197 0.887 0.821
Ni3 Ni 0.354 0.621 0.037
Ni4 Ni 0.354 0.879 0.537
Ni5 Ni 0.646 0.121 0.463
Ni6 Ni 0.646 0.379 0.963
Ni7 Ni 0.803 0.113 0.179
Ni8 Ni 0.803 0.387 0.679
O1 O 0.074 0.626 0.106
O2 O 0.074 0.874 0.606
O3 O 0.104 0.132 0.125
O4 O 0.104 0.368 0.625
O5 O 0.179 0.124 0.849
O6 O 0.179 0.376 0.349
O7 O 0.245 0.643 0.820
O8 O 0.245 0.857 0.320
O9 O 0.329 0.632 0.541
O10 O 0.329 0.868 0.041
O11 O 0.354 0.120 0.505
O12 O 0.354 0.380 0.005
O13 O 0.471 0.583 0.252
O14 O 0.471 0.917 0.752
O15 O 0.529 0.083 0.248
O16 O 0.529 0.417 0.748
O17 O 0.646 0.620 0.995
O18 O 0.646 0.880 0.495
O19 O 0.671 0.132 0.959
O20 O 0.671 0.368 0.459
O21 O 0.755 0.143 0.680
O22 O 0.755 0.357 0.180
O23 O 0.821 0.624 0.651
O24 O 0.821 0.876 0.151
O25 O 0.896 0.632 0.375
O26 O 0.896 0.868 0.875
O27 O 0.926 0.126 0.394
O28 O 0.926 0.374 0.894
```

Calculated values
Formation energy from the elements: -1.968 eV per atom
Total energy: -6.611 eV per atom
Symmetry: No. 14


Density functional theory data (PBE) for an optimized crystal structure of KAlSiO4.

Cell and atoms, written as POSCAR:
```
KAlSiO4
1.0
8.6856 0.0000 0.0000
0.0000 9.1757 0.0000
-0.0586 0.0000 15.9081
K Al Si O
12 12 12 48
direct
0.2456 0.0000 0.0615
0.2477 0.0130 0.3955
0.2480 0.4696 0.2937
0.2522 0.5036 0.5484
0.2531 0.0305 0.7920
0.2537 0.4832 0.8919
0.7463 0.9832 0.1081
0.7469 0.5305 0.2080
0.7478 0.0036 0.4516
0.7523 0.5130 0.6045
0.7520 0.9696 0.7063
0.7544 0.5000 0.9385
0.0614 0.6649 0.0552
0.0654 0.6572 0.7254
0.0671 0.1744 0.6004
0.4332 0.8235 0.2313
0.4351 0.3344 0.1127
0.4373 0.8425 0.5633
0.5627 0.3425 0.4367
0.5649 0.8344 0.8873
0.5668 0.3235 0.7687
0.9329 0.6744 0.3996
0.9346 0.1572 0.2746
0.9386 0.1649 0.9448
0.0534 0.3335 0.1129
0.0562 0.8424 0.5639
0.0565 0.8229 0.2306
0.4436 0.1751 0.5996
0.4452 0.6558 0.7255
0.4475 0.6672 0.0555
0.5525 0.1672 0.9445
0.5548 0.1558 0.2745
0.5564 0.6751 0.4004
0.9435 0.3229 0.7694
0.9438 0.3424 0.4361
0.9466 0.8335 0.8871
0.0033 0.7924 0.1323
0.0123 0.9911 0.9209
0.0126 0.2163 0.3727
0.0191 0.8059 0.4651
0.0221 0.5022 0.4155
0.0234 0.2070 0.0423
0.0338 0.9966 0.2489
0.0390 0.7962 0.8000
0.0462 0.2200 0.7071
0.2374 0.3435 0.1340
0.2378 0.7791 0.2437
0.2403 0.8499 0.5784
0.2615 0.6681 0.0394
0.2621 0.1756 0.5727
0.2624 0.6108 0.7200
0.4566 0.0113 0.2472
0.4630 0.2103 0.7000
____________
There are certain bird species that are unique to South Australia, such as the Plains Wanderer and the Nullarbor Quail-Thrush – as well as the Nullarbor Bearded Dragon. Herds of wild camels also roam across the plains, moving in herds of 10-40.
Here are a few wildlife species that you may see as you travel across the Nullarbor:
The Mallee Fowl
The nesting habits of this strange and rare bird keep ornithologists around the world intrigued. The female will lay an enormous egg (compared to the size of her body) and then leaves the male to look after it. He builds a large mound of twigs, earth and leaves to incubate the egg and monitors the temperature carefully, removing earth from the mound if the egg gets too hot. He keeps things just right for about 40 days, until the chick hatches. The little one is ready to spread its wings and fly within only 24 hours.
Southern Hairy-Nosed Wombat
The Southern Hairy Nosed Wombat shelters from the sun by burrowing into the sand, so its entire body is designed for digging. It has five digits, flat claws and a stocky and robust build so that it can dig through the tough ground. Up to 10 wombats can live together in the complex underground warrens they create beneath the surface of the earth.
These wild dogs scavenge the vast plains of the Nullarbor. They are adaptable creatures and can survive in a range of different ecosystems in Australia including forests, grasslands and deserts. They usually make their homes within hollow logs or deserted rabbit holes. The Nullarbor dingos have evolved to migrate over long distances. The longest migration route measured with a radio collar was around 250 km.
Red Kangaroos
These kangaroos can be seen on the Nullarbor Plain as well, although they are more active at night. The largest of all kangaroo species, they are at home in deserts and scrublands with some bushes or trees for shade. They are able to conserve water and select fresh vegetation in order to survive on the vast, dry Nullarbor Plain.
Nullarbor Bearded Dragon
This fascinating, spiky lizard is quite rare and is only found in this region of the world. It can grow up to 14 inches long and is adapted to living in the dry heat of the flat brush ecosystem. It is distinguished by the rows of large spines down the angle of its body, which certainly makes it look more intimidating to predators.
These are just a few of the many species that make their home on this vast and barren plain – so keep your eyes peeled and your camera batteries charged in case you spot them!
### Misplaced materials data
-- begin --
! V2ZnP2O9, relaxed, DFT PBE+U; values from VASP
&SYSTEM
  ibrav = 0, nat = 56, ntyp = 4
/
ATOMIC_SPECIES
P 30.97 P.upf
V 50.94 V.upf
O 16.00 O.upf
Zn 65.41 Zn.upf
CELL_PARAMETERS angstrom
6.305 0.000 0.000
0.000 7.446 0.000
0.000 0.000 14.325
ATOMIC_POSITIONS crystal
P 0.250 0.114 0.306
P 0.250 0.634 0.429
P 0.750 0.134 0.071
P 0.250 0.386 0.806
P 0.250 0.866 0.929
P 0.750 0.366 0.571
P 0.750 0.614 0.194
P 0.750 0.886 0.694
V 0.500 0.500 0.000
V 0.750 0.853 0.878
V 0.500 0.000 0.500
V 0.250 0.147 0.122
V 0.750 0.647 0.378
V 0.000 0.500 0.000
V 0.000 0.000 0.500
V 0.250 0.353 0.622
O 0.539 0.605 0.136
O 0.961 0.895 0.636
O 0.750 0.988 0.999
O 0.062 0.622 0.359
O 0.562 0.122 0.141
O 0.562 0.378 0.641
O 0.039 0.105 0.364
O 0.250 0.488 0.501
O 0.250 0.368 0.047
O 0.750 0.868 0.453
O 0.438 0.878 0.859
O 0.938 0.378 0.641
O 0.750 0.323 0.025
O 0.938 0.122 0.141
O 0.539 0.895 0.636
O 0.461 0.105 0.364
O 0.250 0.538 0.732
O 0.750 0.632 0.953
O 0.438 0.622 0.359
O 0.750 0.793 0.253
O 0.250 0.207 0.747
O 0.750 0.707 0.753
O 0.750 0.038 0.768
O 0.961 0.605 0.136
O 0.750 0.512 0.499
O 0.250 0.677 0.975
O 0.250 0.293 0.247
O 0.750 0.177 0.525
O 0.250 0.823 0.475
O 0.039 0.395 0.864
O 0.750 0.462 0.268
O 0.250 0.132 0.547
O 0.250 0.962 0.232
O 0.461 0.395 0.864
O 0.250 0.012 0.001
O 0.062 0.878 0.859
Zn 0.250 0.930 0.731
Zn 0.750 0.430 0.769
Zn 0.250 0.570 0.231
Zn 0.750 0.070 0.269
! - Electronic total energy: -402.57 eV per cell
! - Formation energy from the elements: -244.24 kJ per mole of atoms
! - Total energy after the MP2020 corrections: -110.225 eV/f.u.

* * * * *

Record 1
Entry from the Materials Project: a relaxed structure of Ti21Mn25 (PBE).

POSCAR file:
```
Ti21Mn25
1.0
-0.470 -6.279 12.170
-1.525 -7.980 -11.034
8.881 10.370 -1.164
Ti Mn
42 50
direct
0.750 0.445 0.055
0.566 0.451 0.681
0.049 0.816 0.274
0.555 0.945 0.250
0.816 0.274 0.049
0.951 0.066 0.181
0.774 0.316 0.549
0.726 0.951 0.184
0.138 0.043 0.561
0.439 0.862 0.957
0.362 0.939 0.457
0.451 0.681 0.566
0.543 0.638 0.061
0.939 0.457 0.362
0.638 0.061 0.543
0.862 0.957 0.439
0.226 0.684 0.451
0.819 0.049 0.934
0.457 0.362 0.939
0.043 0.561 0.138
0.549 0.319 0.434
0.181 0.951 0.066
0.066 0.181 0.951
0.945 0.250 0.555
0.681 0.566 0.451
0.319 0.434 0.549
0.561 0.138 0.043
0.951 0.184 0.726
0.049 0.934 0.819
0.274 0.049 0.816
0.055 0.750 0.445
0.445 0.055 0.750
0.184 0.726 0.951
0.451 0.226 0.684
0.434 0.549 0.319
0.957 0.439 0.862
0.684 0.451 0.226
0.934 0.819 0.049
0.316 0.549 0.774
0.250 0.555 0.945
0.061 0.543 0.638
0.549 0.774 0.316
0.250 0.806 0.694
0.265 0.619 0.616
0.519 0.928 0.811
0.884 0.881 0.235
0.735 0.381 0.384
0.250 0.189 0.311
0.481 0.072 0.189
0.868 0.571 0.807
0.189 0.481 0.072
0.807 0.868 0.571
0.981 0.689 0.572
0.429 0.193 0.132
0.072 0.189 0.481
0.632 0.693 0.929
0.071 0.368 0.307
0.189 0.311 0.250
0.689 0.750 0.811
0.500 0.500 0.500
0.194 0.306 0.750
0.750 0.194 0.306
0.811 0.519 0.928
0.000 0.000 0.000
0.616 0.265 0.619
0.428 0.019 0.311
0.193 0.132 0.429
-- stop --
Photo Credit: Pixabay